[Assignment]
Echo the block underneath verbatim.

[Listing]
<<<
[1]
Compound: FeO2
Source: the Materials Project
Functional: PBE+U
Structure: relaxed

Cell and atoms, written as POSCAR:
```
FeO2
1.0
3.003 5.183 0.000
-3.003 5.183 0.000
0.000 0.097 14.400
Fe O
12 24
Cartesian
-1.501 6.055 2.392
-1.498 7.820 7.200
1.501 6.055 2.392
0.000 5.224 7.200
0.000 8.658 2.397
0.000 1.752 11.987
1.498 7.820 7.200
0.000 6.911 4.802
0.000 3.530 9.596
-1.555 4.425 11.997
1.555 4.425 11.997
0.000 3.482 0.663
0.000 6.916 8.175
0.000 6.908 1.420
0.000 3.553 13.136
1.258 2.807 10.896
-1.294 4.331 8.339
0.000 4.975 10.884
1.294 4.331 8.339
1.620 6.048 12.870
0.000 0.036 3.333
-1.258 2.807 10.896
0.000 5.438 3.646
0.000 8.411 6.004
0.000 1.756 1.407
-1.484 4.333 1.411
-1.266 7.640 3.654
0.000 10.419 10.889
1.277 6.141 6.031
-1.277 6.141 6.031
-1.620 6.048 12.870
0.000 8.862 12.887
0.000 2.041 8.393
1.266 7.640 3.654
1.484 4.333 1.411
0.000 3.541 6.225
```


[2]
Compound: LiVP3O9
Source: the Materials Project
Functional: PBE+U
Structure: relaxed

Cell and atoms, written as POSCAR:
```
LiVP3O9
1.0
-5.100 3.755 -2.145
-3.902 -5.533 -0.777
-3.443 -0.177 6.637
P Li O V
6 2 18 2
Cartesian
-8.932 -1.255 0.530
-3.513 -0.700 3.185
-6.180 -0.816 -0.521
-7.757 -3.732 3.797
-4.688 1.777 -0.082
-6.265 -1.140 4.236
-3.670 -2.610 0.583
-8.775 0.655 3.132
-7.335 -1.119 0.587
-5.101 -1.817 -0.369
-7.489 -4.514 5.086
-6.690 -2.574 3.635
-3.292 1.366 0.202
-7.201 -4.647 2.577
-5.606 -1.392 5.575
-9.152 -3.321 3.513
-7.343 -0.138 4.083
-6.838 -0.563 -1.861
-9.458 -0.899 1.897
-8.037 2.334 2.240
-5.754 0.619 0.079
-2.986 -1.056 1.818
-5.109 -0.836 3.128
-5.243 2.692 1.138
-4.955 2.558 -1.371
-4.407 -4.289 1.475
-1.608 0.140 0.543
-10.836 -2.096 3.172
```


[3]
Compound: Mo2H26C8N2O5F6
Source: the Materials Project
Functional: PBE+U
Structure: relaxed

Cell and atoms, written as POSCAR:
```
Mo2H26C8N2O5F6
1.0
-9.382 -5.451 1.840
5.380 -6.255 8.906
-3.907 9.857 9.283
O H C F Mo N
20 104 32 24 8 8
Cartesian
-6.972 -6.230 9.923
-3.908 0.600 12.869
-5.122 -3.554 7.461
-3.636 -1.377 6.502
-1.669 -6.839 10.895
-7.363 -1.763 15.941
-7.393 2.910 10.966
-3.534 -1.330 14.748
-0.308 -5.000 9.405
-9.835 -0.301 11.003
-0.339 -0.327 4.430
-5.513 -0.692 4.657
-4.759 3.268 11.585
-2.204 3.644 10.753
0.699 1.749 15.495
-1.015 -0.356 15.500
2.664 -2.407 10.247
-3.933 -7.554 12.209
-7.127 -5.320 6.985
-2.449 6.138 7.602
-7.331 -0.840 18.445
-3.663 -5.068 13.354
-3.579 -5.769 5.992
0.237 0.015 7.687
-1.557 2.508 17.017
-7.327 0.025 10.833
-9.165 0.525 13.778
-2.727 -9.100 9.573
-5.114 -5.796 5.060
-5.898 -1.592 13.033
-6.417 -4.115 2.979
-8.858 5.527 11.238
-5.869 3.309 6.032
-4.688 0.522 17.687
-5.774 -4.300 7.387
-5.081 1.691 6.193
-1.091 -0.922 16.319
-4.509 3.898 13.995
-7.650 -1.598 12.595
0.466 -3.593 7.383
-6.052 -0.236 9.596
-5.922 -2.815 1.859
-3.197 1.122 5.032
-2.455 -0.599 2.975
-4.260 -1.876 11.466
-3.943 5.811 12.505
-2.931 0.289 10.455
-2.291 2.549 5.632
0.882 -3.577 11.619
-5.154 7.260 10.204
-11.242 3.626 11.330
-1.709 -2.025 8.706
-0.065 -1.749 9.398
-3.185 -2.140 2.413
-8.356 2.683 7.753
0.992 -7.276 8.898
-3.919 -8.350 12.810
-2.415 2.256 3.864
-4.624 -2.154 9.718
-0.415 1.787 9.943
-11.478 3.490 9.556
-1.895 1.089 18.066
2.038 -5.206 9.524
-2.294 5.548 13.164
-5.414 -0.967 17.003
-5.751 -4.648 16.304
-8.283 -2.224 10.304
2.146 -1.685 12.656
-3.744 -1.016 17.695
3.480 -5.523 8.508
-0.738 0.529 11.184
-3.325 -0.173 8.749
-3.180 -10.228 10.895
-7.148 -3.633 10.247
-2.758 1.489 9.137
-2.887 3.887 14.740
-4.640 8.512 9.040
-3.317 4.756 5.550
-2.813 -3.736 14.212
-5.791 -7.430 6.813
-1.510 -1.687 10.459
-9.821 3.425 10.251
-4.932 -3.450 10.924
-1.195 -2.393 5.177
0.597 -1.253 13.460
-7.017 -2.326 9.031
0.640 0.324 10.052
-7.534 0.833 5.342
-0.438 -5.764 6.496
-8.501 -0.833 6.643
-4.306 3.146 6.903
-1.736 -3.657 6.353
-7.491 1.108 7.761
-0.577 -3.101 12.551
-10.079 -0.632 5.807
-6.119 1.912 15.306
-10.038 2.103 13.756
0.070 -4.772 12.701
-3.028 -7.396 11.830
-5.584 0.140 11.291
-9.030 1.278 8.666
-4.150 -7.488 7.515
-0.924 1.388 7.639
>>>

[Done]
[1]
Compound: FeO2
Source: the Materials Project
Functional: PBE+U
Structure: relaxed

Cell and atoms, written as POSCAR:
```
FeO2
1.0
3.003 5.183 0.000
-3.003 5.183 0.000
0.000 0.097 14.400
Fe O
12 24
Cartesian
-1.501 6.055 2.392
-1.498 7.820 7.200
1.501 6.055 2.392
0.000 5.224 7.200
0.000 8.658 2.397
0.000 1.752 11.987
1.498 7.820 7.200
0.000 6.911 4.802
0.000 3.530 9.596
-1.555 4.425 11.997
1.555 4.425 11.997
0.000 3.482 0.663
0.000 6.916 8.175
0.000 6.908 1.420
0.000 3.553 13.136
1.258 2.807 10.896
-1.294 4.331 8.339
0.000 4.975 10.884
1.294 4.331 8.339
1.620 6.048 12.870
0.000 0.036 3.333
-1.258 2.807 10.896
0.000 5.438 3.646
0.000 8.411 6.004
0.000 1.756 1.407
-1.484 4.333 1.411
-1.266 7.640 3.654
0.000 10.419 10.889
1.277 6.141 6.031
-1.277 6.141 6.031
-1.620 6.048 12.870
0.000 8.862 12.887
0.000 2.041 8.393
1.266 7.640 3.654
1.484 4.333 1.411
0.000 3.541 6.225
```


[2]
Compound: LiVP3O9
Source: the Materials Project
Functional: PBE+U
Structure: relaxed

Cell and atoms, written as POSCAR:
```
LiVP3O9
1.0
-5.100 3.755 -2.145
-3.902 -5.533 -0.777
-3.443 -0.177 6.637
P Li O V
6 2 18 2
Cartesian
-8.932 -1.255 0.530
-3.513 -0.700 3.185
-6.180 -0.816 -0.521
-7.757 -3.732 3.797
-4.688 1.777 -0.082
-6.265 -1.140 4.236
-3.670 -2.610 0.583
-8.775 0.655 3.132
-7.335 -1.119 0.587
-5.101 -1.817 -0.369
-7.489 -4.514 5.086
-6.690 -2.574 3.635
-3.292 1.366 0.202
-7.201 -4.647 2.577
-5.606 -1.392 5.575
-9.152 -3.321 3.513
-7.343 -0.138 4.083
-6.838 -0.563 -1.861
-9.458 -0.899 1.897
-8.037 2.334 2.240
-5.754 0.619 0.079
-2.986 -1.056 1.818
-5.109 -0.836 3.128
-5.243 2.692 1.138
-4.955 2.558 -1.371
-4.407 -4.289 1.475
-1.608 0.140 0.543
-10.836 -2.096 3.172
```


[3]
Compound: Mo2H26C8N2O5F6
Source: the Materials Project
Functional: PBE+U
Structure: relaxed

Cell and atoms, written as POSCAR:
```
Mo2H26C8N2O5F6
1.0
-9.382 -5.451 1.840
5.380 -6.255 8.906
-3.907 9.857 9.283
O H C F Mo N
20 104 32 24 8 8
Cartesian
-6.972 -6.230 9.923
-3.908 0.600 12.869
-5.122 -3.554 7.461
-3.636 -1.377 6.502
-1.669 -6.839 10.895
-7.363 -1.763 15.941
-7.393 2.910 10.966
-3.534 -1.330 14.748
-0.308 -5.000 9.405
-9.835 -0.301 11.003
-0.339 -0.327 4.430
-5.513 -0.692 4.657
-4.759 3.268 11.585
-2.204 3.644 10.753
0.699 1.749 15.495
-1.015 -0.356 15.500
2.664 -2.407 10.247
-3.933 -7.554 12.209
-7.127 -5.320 6.985
-2.449 6.138 7.602
-7.331 -0.840 18.445
-3.663 -5.068 13.354
-3.579 -5.769 5.992
0.237 0.015 7.687
-1.557 2.508 17.017
-7.327 0.025 10.833
-9.165 0.525 13.778
-2.727 -9.100 9.573
-5.114 -5.796 5.060
-5.898 -1.592 13.033
-6.417 -4.115 2.979
-8.858 5.527 11.238
-5.869 3.309 6.032
-4.688 0.522 17.687
-5.774 -4.300 7.387
-5.081 1.691 6.193
-1.091 -0.922 16.319
-4.509 3.898 13.995
-7.650 -1.598 12.595
0.466 -3.593 7.383
-6.052 -0.236 9.596
-5.922 -2.815 1.859
-3.197 1.122 5.032
-2.455 -0.599 2.975
-4.260 -1.876 11.466
-3.943 5.811 12.505
-2.931 0.289 10.455
-2.291 2.549 5.632
0.882 -3.577 11.619
-5.154 7.260 10.204
-11.242 3.626 11.330
-1.709 -2.025 8.706
-0.065 -1.749 9.398
-3.185 -2.140 2.413
-8.356 2.683 7.753
0.992 -7.276 8.898
-3.919 -8.350 12.810
-2.415 2.256 3.864
-4.624 -2.154 9.718
-0.415 1.787 9.943
-11.478 3.490 9.556
-1.895 1.089 18.066
2.038 -5.206 9.524
-2.294 5.548 13.164
-5.414 -0.967 17.003
-5.751 -4.648 16.304
-8.283 -2.224 10.304
2.146 -1.685 12.656
-3.744 -1.016 17.695
3.480 -5.523 8.508
-0.738 0.529 11.184
-3.325 -0.173 8.749
-3.180 -10.228 10.895
-7.148 -3.633 10.247
-2.758 1.489 9.137
-2.887 3.887 14.740
-4.640 8.512 9.040
-3.317 4.756 5.550
-2.813 -3.736 14.212
-5.791 -7.430 6.813
-1.510 -1.687 10.459
-9.821 3.425 10.251
-4.932 -3.450 10.924
-1.195 -2.393 5.177
0.597 -1.253 13.460
-7.017 -2.326 9.031
0.640 0.324 10.052
-7.534 0.833 5.342
-0.438 -5.764 6.496
-8.501 -0.833 6.643
-4.306 3.146 6.903
-1.736 -3.657 6.353
-7.491 1.108 7.761
-0.577 -3.101 12.551
-10.079 -0.632 5.807
-6.119 1.912 15.306
-10.038 2.103 13.756
0.070 -4.772 12.701
-3.028 -7.396 11.830
-5.584 0.140 11.291
-9.030 1.278 8.666
-4.150 -7.488 7.515
-0.924 1.388 7.639